New trustee Tim Shaw champions young people

We chatted with Behind Every Kick's newest trustee Tim Shaw. Tim shared his career highlights, including working as Watford Football Club’s CEO during Elton John and Graham Taylor's time at Vicarage Road. He discussed the skills he looks for when recruiting staff to his business. And he explained why he is so passionate about levelling the playing field for young people.
~~~
(1)
This record from OMol25 describes a molecular structure, C27H34AsHfN6O3. The level of theory is ωB97M-V/def2-TZVPD.

Each line ends with the Mulliken charge.
CARTESIAN COORDINATES (ANGSTROEM)
Hf  10.7598  9.1610  10.4056  1.28
C  14.1320  9.0403  10.7583  -1.00
N  13.0156  10.0338  11.1207  0.10
C  13.2490  11.4127  10.4813  -1.13
C  11.9939  12.1043  10.0594  -0.07
C  11.4695  11.6966  8.6784  -1.18
N  11.5139  10.2403  8.5214  0.38
C  11.8096  9.7479  7.3464  -0.37
C  11.6692  8.3865  7.0535  0.86
C  11.8696  8.0233  5.6924  -1.25
C  11.8183  6.6877  5.3462  -0.84
C  11.8073  5.6977  6.2986  -0.61
C  11.6487  6.0495  7.6102  -0.79
C  11.4838  7.3707  7.9772  0.47
O  11.2258  7.6257  9.2281  0.54
C  13.2239  10.1658  12.6262  -0.76
C  12.2104  11.0299  13.3824  -1.18
C  10.8608  10.2648  13.5842  -0.78
N  9.9932  10.1933  12.3604  0.13
C  8.7225  10.5327  12.6107  -0.72
C  7.7357  10.6768  11.6154  1.05
C  6.4761  11.0857  12.0549  -0.65
C  5.4685  11.4832  11.2109  -0.86
C  5.8024  11.5834  9.8272  -0.39
C  6.9884  11.1485  9.3569  -0.94
C  8.0138  10.6996  10.2214  0.28
O  9.1695  10.2805  9.7181  -0.07
H  15.1285  9.3389  11.1717  0.43
H  14.1890  8.8690  9.6538  0.30
H  13.9076  8.0733  11.2465  0.23
H  13.8470  11.3213  9.6031  0.62
H  13.8506  11.9279  11.2524  0.44
H  12.1937  13.1828  10.0198  0.53
H  11.2352  11.9680  10.8086  0.01
H  12.0757  12.2377  7.8610  0.62
H  10.4163  12.0502  8.5849  0.11
H  12.0903  10.4822  6.5530  0.30
H  11.9430  8.7796  4.9585  0.47
H  11.8461  6.3878  4.3347  0.44
H  11.8377  4.6683  6.0190  0.46
H  11.6305  5.3190  8.4065  0.45
H  14.3482  10.4265  12.6356  0.69
H  13.1243  9.1547  13.0806  0.31
H  12.1791  12.0606  12.9693  0.28
H  12.6677  11.2338  14.3514  0.51
H  10.3049  10.6422  14.4827  0.64
H  11.2174  9.2864  13.8119  0.11
H  8.3850  10.7372  13.5886  0.46
H  6.2930  10.9381  13.1095  0.39
H  4.5265  11.9325  11.6175  0.39
H  4.9796  11.9965  9.1768  0.35
H  7.1917  11.3097  8.2999  0.46
O  11.4596  7.9115  12.0753  -0.06
N  11.8859  6.6843  12.1810  -0.78
C  11.2635  5.9918  13.0784  0.76
C  11.7202  4.6680  13.3901  -0.06
N  12.0495  3.6069  13.6811  -0.43
C  10.0272  6.5147  13.6521  0.02
N  9.0538  6.9668  14.1134  -0.56
C  7.4624  7.3529  8.7818  -1.26
As  8.3928  7.2159  10.5192  0.91
C  6.7687  7.3405  11.5830  -1.23
C  8.7845  5.3204  10.6957  -1.24
H  6.7376  6.5805  8.6860  0.51
H  8.0078  7.5099  7.8965  0.41
H  6.9057  8.3248  8.8496  0.25
H  6.1409  6.4374  11.4770  0.47
H  6.0898  8.1933  11.2611  0.30
H  7.1061  7.4088  12.6360  0.31
H  8.4417  5.0284  11.6733  0.47
H  9.8554  5.2288  10.5482  0.19
H  8.2657  4.7385  9.9766  0.51

Calculated values
Multiplicity   1
Total charge   +1
LUMO level   -3.18 eV
Energy above the lowest of the compared OMol25 structures with the same formula, charge and spin   0.00 kcal/mol
HOMO energy   -11.38 eV

=====

(2)
This record from OMol25 describes a molecular structure, C27H34ClIrN4O4Sb. The level of theory is ωB97M-V/def2-TZVPD.
~~~
[So much for the records of molecules]
Where does your passion for sport comes from?
Tim Shaw (TS): Well, if you believe it gets passed down in the genes, I got it from my dad. He was a big rugby man and played for Saracens. I never saw him turn out for them as he'd stopped playing by then, but he'd take me to watch their matches. We'd also watch Middlesex cricket together. Where we differed slightly was that football was my real love. I've been a lifelong Watford fan. And I've played for lots of 5-a-side and Sunday League teams. It's always been clear to me that sport is a brilliant way to build life skills. The more young people can involve themselves in sport, the more it will help them in other aspects of their lives.
What skills from sport have you taken into your career?
TS: It might be a cliche, but understanding your role in a team and how your performance affects others is a lesson sport teaches better than anything. I think rugby, in particular, is fantastic for fostering respect for your teammates, the opposition and referees. I also captained amateur football teams - I'm keen to stress here I wasn't the best player. But as a skipper, I learned about leadership, setting a positive example and taking responsibility when things don't go well. These skills have been invaluable throughout my career and life.
How did you come to be CEO of Watford Football Club?
TS: Ha ha ha. It wasn't something I set out to do, that's for sure. I'd joined the Watford board just around the time the club was promoted to the Premier League for the first time in 1999. I'd recently sold my share in an accountancy practice, so I suppose I was looking for a new challenge. The club didn't have a chief executive at the time. The vice chairman was looking for someone to help with the day-to-day running of the club. I remember sitting around the board room table when he said this and could feel the wheels turning in my head. As a lifelong Watford fan, it was too good an opportunity to let pass me by. I thought: 'this is a chance I have to grab'. It was a challenge as I'm not someone who necessarily seeks out the spotlight - and a high-profile job like that comes with some attention from the local and national press. But I thought I had the skills to help the club, so I went for it. I think that's a big lesson for young people. The more you put yourself forward for things, the more breaks will come your way. If you sit in your office all day and avoid talking to people, opportunities probably won't find you. Whereas if you're positive and seek people out, things tend to happen for you. Even if you make a bit of a wally of yourself once or twice, it doesn't really matter. The main thing is to be proactive and talk to people.
What does a CEO at a football club actually do?
TS: Good question. I suppose to put it into one sentence: you are responsible for every aspect of the club's off-field activity. Be it marketing, finance, human resources, catering, media relations or retail. Increasingly, these days, CEOs are involved in the recruitment of coaches and players too. Amazingly, when I first started at Watford, it was seen as a part-time role, but pretty quickly, I was working full-time. To give you an idea of how the league has grown in the last 20 years, back in 1999/00, the basic award for playing in the Premier League was £ 3 million. Now it's worth around £100 million to a club.
How did you cope with the pressure that came with the job?
TS: It was definitely a learning curve for me. I'd never been under that sort of scrutiny before. Fans really, really care about their football clubs and aren't shy about letting you know if you've done something they're not happy with! I evolved two coping strategies. The first was to realise I couldn't carry everything on my two shoulders and that we were a team. I learned to use the expertise of the people in the club and trusted in their judgement. The second was to have a clear perspective. We are all extremely passionate about football, but when you strip it back, you aren't dealing with life and death like doctors or nurses. There were some really stressful times when we experienced sharp financial challenges as a board. But I found by pulling together - and sticking to our plan, even when we made mistakes - we managed to overcome them. And that's what I'm most proud of from my time at Watford. Several clubs have gone into administration and been unable to pay suppliers, but we never did that. We also helped develop the staff working at the club and left a lasting legacy that way.
What characteristics do you look for when recruiting staff?
TS: First and foremost, I'm not always looking for people with four A level A grades and a first-class degree. I want people who are positive and demonstrate they really want the job. I think those traits, combined with an ability to fit into the team's culture and the capacity to overcome adversity - which we all encounter at some point in our careers - are critical. Also, is the person kind and do they have integrity? Everything else you can teach. An enthusiastic young person is worth their weight in gold to a business. When I see passion in someone, I want to do everything I can to help them find the path that takes them to where they want to go. Bright, enthusiastic young people are what it's all about. They're the future.
Could you tell us about your work as a managing director of an analytics company?
TS: We work with charities and businesses to help them grow using data and analytics. I know a central tenet of what Behind Every Kick encourages in young people is the idea of having an open mindset. That's something I absolutely believe in. Nobody has a monopoly on good ideas. People with different perspectives, either professionally or personally, can bring so much to an organisation. When I first meet a charity or business to try and help them, that's what I try to give them. I'm a fresh pair of eyes with different experiences of what has - or maybe hasn't worked for other businesses. If in business you just have the same people circulating the same ideas, that's when you get stuck.
Why did you decide to get involved in Behind Every Kick?
TS: I think that leads on from what I was just saying. Every young person has a skill or talent that can be harnessed to bring them both material success and make them feel a valued part of society. The problem is that a certain percentage of the population, who are very fortunate, are far more likely to have access to opportunities than others. I hate that some young people's potential is going to waste. I know that with a bit of confidence and mentoring - and the other skills and opportunities Behind Every Kick can help them with - they'd flourish.
Finally, we couldn't let you go without asking what it was like to work at Watford when Elton John was chairman?
TS: Ha ha ha. When I was there, he wasn't chairing the board meetings anymore as he had done in the 1980s. But what I can say - from my limited experiences of meeting him - is that what you see with Elton is absolutely representative of who he is. I'm not giving any secrets away when I tell you he is incredibly passionate about Watford Football Club!